2.5.3 Week in Review Flashcards


What gender is most likely to suffer from a colles fracture?

## Crystal structures, as found in the file
'''
(1)
Compound: YNiCl2
Source: the Alexandria database
Functional: PBE
Structure: relaxed

a b c (Å): 7.623 7.623 7.623
angles (deg): 148.14 151.45 43.30
Atoms (fractional coordinates):
1 Ni 0.750 0.250 0.500
2 Cl 0.615 0.615 0.000
3 Y 0.250 0.750 0.500
4 Cl 0.885 0.885 0.000

Results
Space group   Immm, No. 71
Uncorrected formation energy   -0.904 eV/atom
Calculated total energy   -4.888 eV/atom

---

(2)
Compound: YNiCl2
Source: the Alexandria database
Functional: PBE
Structure: relaxed

a b c (Å): 3.546 3.546 8.055
angles (deg): 90.00 90.00 108.48
Atoms (fractional coordinates):
1 Cl 0.500 0.500 0.368
2 Cl 0.000 0.000 0.933
3 Y 0.500 0.500 0.710
4 Ni 0.000 0.000 0.490

Results
Space group   Cmm2, No. 35
Uncorrected formation energy   -0.902 eV/atom
Calculated total energy   -4.887 eV/atom

---

(3)
Compound: YNiCl2
Source: the Alexandria database
Functional: PBE
Structure: relaxed

a b c (Å): 5.515 5.515 5.515
angles (deg): 138.08 138.08 60.79
Atoms (fractional coordinates):
1 Ni 0.500 0.500 0.000
2 Y 0.750 0.250 0.500
3 Cl 0.000 0.000 0.000
4 Cl 0.250 0.750 0.500

Results
Space group   I-4m2, No. 119
Uncorrected formation energy   -0.674 eV/atom
Calculated total energy   -4.659 eV/atom

---

(4)
Compound: YNiCl2
Source: the Alexandria database
Functional: PBE
Structure: relaxed

a b c (Å): 3.698 3.698 7.759
angles (deg): 90.00 90.00 125.13
Site moments in Bohr magnetons follow the coordinates.
Atoms (fractional coordinates):
1 Cl 0.000 0.000 0.040  0.03
2 Y 0.500 0.500 0.750  0.03
3 Cl 0.000 0.000 0.460  0.03
4 Ni 0.500 0.500 0.250  0.64

Results
Space group   Cmmm, No. 65
Uncorrected formation energy   -0.550 eV/atom
Calculated total energy   -4.535 eV/atom

---

(5)
Compound: YNi2Cl
Source: the Alexandria database
Functional: PBE
Structure: relaxed

a b c (Å): 7.446 7.446 7.446
angles (deg): 26.65 26.65 26.65
Atoms (fractional coordinates):
1 Cl 0.750 0.750 0.750
2 Ni 0.493 0.493 0.493
3 Ni 0.007 0.007 0.007
4 Y 0.250 0.250 0.250

Results
Space group   R-3m, No. 166
Uncorrected formation energy   0.122 eV/atom
Calculated total energy   -4.847 eV/atom

---

(6)
Compound: ZnNi2Cl
Source: the Alexandria database
Functional: PBE
Structure: relaxed

a b c (Å): 2.953 4.249 4.249
angles (deg): 90.00 90.00 90.00
Atoms (fractional coordinates):
1 Ni 0.000 0.000 0.000
2 Zn 0.500 0.500 0.000
3 Cl 0.500 0.000 0.500
4 Ni 0.000 0.500 0.500

Results
Space group   P4/mmm, No. 123
Uncorrected formation energy   0.324 eV/atom
Calculated total energy   -3.347 eV/atom

---

(7)
Compound: ZnNi2Cl
Source: the Alexandria database
Functional: PBE
Structure: relaxed

a b c (Å): 2.921 2.921 7.650
angles (deg): 90.00 90.00 120.08
Site moments in Bohr magnetons follow the coordinates.
Atoms (fractional coordinates):
1 Zn 0.500 0.500 0.250  -0.01
2 Ni 0.000 0.000 0.505  0.35
3 Cl 0.500 0.500 0.750  0.07
4 Ni 0.000 0.000 0.995  0.35

Results
Space group   Cmmm, No. 65
Uncorrected formation energy   0.219 eV/atom
Calculated total energy   -3.452 eV/atom

---

(8)
'''

B. Femoral
What is the most frequently damaged ligament upon ankle eversion?
Deltodid ligament
Lack of an end point in the talar tilt is positive for what?
LCL tear (anterior/posterior talofibular ligaments, calcaneofibular)

What are the points of tenderness in the ottawa ankle rules?

What are the Ottawa Ankle rules for x-raying ankle?

Diagnose me.

Acromioclavicular separation (shoulder separated)
Where does the compression occur in cubital tunnel?
Ulnar nerve as it passes beneath the ulnar collateral ligament (UCL)
What is the ulnar tunnel of the hand/wrist?
Guyon’s canal
What three tests (provocative maneuvers) that can be used to identify carpal tunnel syndrome?
Phalen’s test: phalen’s flap
Tinel’s sign: Tinel’s tap
Digital compression test
What are the grades of ankle sprains?

What does the ulnar nerve innervate?
The hand and 1.5 anterior forearm muscles (flexor carpi radialis and ulnar half of flexor digitorum profundus
and sensory for 1.5 fingers
What is the order of the hamstring muscles from medial to lateral?
semiMembranous, semitendonous, and biceps femoris

What type of movement could cause Erb’s palsy
Excessive separation of the head and neck such as falling with shoulder on ground
(shoulder dystocia in baby delivery)

What is the diff b/t varus and valgus?

What nerve/vessel injuries are associated with these humerus fractures?
Surg neck, radial groove, distal end of humerus, medial epicondyle

What is the clinical importance of the femoral triangle?

What test is used for fuction of the subscapularis?
The “lift-off test” (also good for testing rhomboids)

Where is pain and tenderness felt in a scaphoid fracture?
The anatomical snuff box
What are the two types of muscle fibers?
2: Too fast

What is the most common direction of ankle sprains?

C. Common Fibular (peroneal) nerve
What is the most frequently fractured carpal bone?

What is O’ Donoghues Triad?
Complete ACL tear
Complete M/TCL Tear
Peripheral medial meniscus tear
What type of subluxation and dislocation is common in young children?
S & D of the radial head (“pulled elbow” = nursemaid’s elbow)

What the relationship between the the roots and the terminal branches of the brachial plexus?

What test is used to identify weakness in shoulder due to the tearing of the supraspinatus?
The empty-can test


What duration of time for immobilization is suggested for non-displaced scaphoid fractures?

What is unique about the origin of the lumbricals?
originate off the tendons of the flexor digitorum profundus
During what type of muscle movement is hamstring injury most common?
Eccentric muscle contraction
What is the most common cause of a Colles’ fracture?
Falling on an outstretched hand (FOOSH)
Which hand muscles are innervated by the median nerve?
1/2 LOAF

What is the most common bacterium causing cellulitis?
Streptococci or Staph. aureus (increasing concern with MRSA)
What two tendons make up the anatomical snuff box?
Extensor pollicis longus (EPL) tendon
Extensor pollicis brevis (EPB) tendon

What is the most frequently damaged ligament upon ankle inversion?
Anterior talofibular ligament
Tommy John surgery is used to repair which structure in the elbow?
The ulnar collateral ligament
What is the most commonly torn muscle of the rotator cuff?
Supraspinatus m.
What are the four types of Colles’ fracture?
I: extra articular, undisplaced
II: extra articular, displaced
III: intra articular, undisplaced
IV: intra articular, displaced
What ligaments are injured in a high ankle sprain?
Syndesmosis ligaments
The piano key sign is associated with which Tossy classification?
Tossy III
What type of neural injury causes ape hand deformity?
Damage to proximal median nerve
What is the function of the lumbricals? What innervates them?
Flex the MCP joint and extends the IP joints of the medial four fingers
1 & 2: median nerve
3 & 4: ulnar nerve

**Data records from another source follow:**
# PtRh2Pb

An optimized crystal structure of PtRh2Pb (GGA-PBE, Alexandria via LeMat-Bulk).

Results
The calculation puts the relative energy among the computed polymorphs at 0.43 eV/f.u.

abc: 9.160 3.208 4.746
angles: 90.00 102.06 90.00
Space group Cm (No. 8)
Asymmetric unit:
Pt1 0.000 0.000 0.000
Rh1 0.008 0.500 0.545
Rh2 0.254 0.000 0.780
Pb1 0.255 0.500 0.284



# Pm2PrHo5Er

An optimized crystal structure of Pm2PrHo5Er (GGA-PBE, Alexandria via LeMat-Bulk).

Results
The energy is -4.369 eV/atom.

abc: 8.758 8.758 15.317
angles: 90.00 90.00 90.00
Space group I4/mcm (No. 140)
Asymmetric unit:
Pm1 0.116 0.384 0.000
Pr1 0.000 0.000 0.250
Ho1 0.000 0.000 0.000
Ho2 0.209 0.291 0.363
Er1 0.000 0.500 0.250



# Fe2CuP

An optimized crystal structure of Fe2CuP (GGA-PBE, Alexandria via LeMat-Bulk).

Results
The energy is -6.610 eV/atom.

abc: 2.690 3.651 4.951
angles: 90.00 105.65 90.00
Space group Pm (No. 6)
Asymmetric unit:
Fe1 0.000 0.000 0.000
Fe2 0.352 0.500 0.709
Cu1 0.735 0.000 0.474
P1 0.590 0.500 0.181



# NbMo

An optimized crystal structure of NbMo (GGA-PBE, Alexandria via LeMat-Bulk).

Results
The energy is -10.066 eV/atom.

abc: 8.8814 8.8814 3.1906
angles: 90.00 90.00 120.00
Space group P6_3/m (No. 176)
Asymmetric unit:
Nb1 0.1516 0.8440 0.2500
Mo1 0.1295 0.5611 0.7500



# Rb3Pu2ScS6

An optimized crystal structure of Rb3Pu2ScS6 (GGA-PBE, Alexandria via LeMat-Bulk).

Results
For the formation energy without anion corrections, the calculation gives -1.594 eV/atom.

abc: 7.022 12.163 7.990
angles: 90.00 107.05 90.00
Space group C2/m (No. 12)
Asymmetric unit:
Rb1 0.000 0.000 0.000
Rb2 0.000 0.332 0.000
Pu1 0.000 0.167 0.500
Sc1 0.000 0.500 0.500
S1 0.223 0.340 0.688
S2 0.242 0.000 0.688



# LaY4Cr

An optimized crystal structure of LaY4Cr (GGA-PBE, Alexandria via LeMat-Bulk).

Results
The energy is -6.159 eV/atom.

abc: 9.227 9.227 9.227
angles: 90.00 90.00 90.00
Space group F-43m (No. 216)
Asymmetric unit:
La1 0.000 0.000 0.000
Y1 0.125 0.125 0.625
Cr1 0.250 0.250 0.250



# Pr2TmAl3Pd4

An optimized crystal structure of Pr2TmAl3Pd4 (GGA-PBE, Alexandria via LeMat-Bulk).

Results
The energy is -5.420 eV/atom.

abc: 4.399 4.399 10.841
angles: 90.00 90.00 90.00
Space group P-4m2 (No. 115)
Asymmetric unit:
Pr1 0.000 0.500 0.232
Tm1 0.000 0.000 0.500
Al1 0.000 0.500 0.883
Al2 0.500 0.500 0.500
Pd1 0.000 0.000 0.000
Pd2 0.000 0.500 0.651
Pd3 0.500 0.500 0.000



# Rb3Np2CdSe6

An optimized crystal structure of Rb3Np2CdSe6 (GGA-PBE, Alexandria via LeMat-Bulk).

Results
For the formation energy without anion corrections, the calculation gives -1.105 eV/atom.

abc: 7.387 12.791 8.342
angles: 90.00 107.08 90.00
Space group C2/m (No. 12)
Asymmetric unit:
Rb1 0.000 0.000 0.000
Rb2 0.000 0.337 0.000
Np1 0.000 0.167 0.500
Cd1 0.000 0.500 0.500
Se1 0.225 0.000 0.694
Se2 0.235 0.330 0.695

What are the borders of the femoral triangle?
Inguinial lig, sartorius, and adductor longus
What is the Tossy classification system used for? What are the grades?
AC joint isolation

What are the muscles (both intrinsic and extrinsic to the hand) that control these thumb movements? and their respective innervation?

D. Medial meniscus
What are the syndesmosis ligaments?

Injury of the upper brachial plexus (C5-6) is called what?
Erb’s palsy - waiter’s tip deformity